Women enter Beit Hadassah in 1973
Women enter Beit Hadassah in 1973Gershon Elinson

This week marks four years since the passing of Rabbi Moshe Levinger, a pioneer who blazed the path to settling Hevron, Judea, and Samaria.

The memorial held in Kiryat Arba-Hevron's Beit Hashalom (Peace House) also marked 40 years of Jewish women in Beit Hadassah, something which allowed Jews to settle in Hevron.

This unique event was held specifically at Peace House, the large building which was redeemed and purchased by Mr. Morris Avraham. Avraham, who purchased the property from an Arab friend of Hevron, paid the previous owner the full price. Today, Peace House serves as a new Jewish neighborhood, near Me'arat Hamachpelah (the Cave of the Patriarchs). It is reminiscent of Rabbi Levinger's vision of settling the entire city of Hevron and continuing to redeem and purchase homes all over the city.

In 1973, ten women and approximately 40 children entered the first floor of the Beit Hadassah complex, aiming to re-establish a permanent Jewish presence in the center of Hevron.

The spirit and strength of these exemplary women, who against all odds blazed the path for settlement in the heart of Hevron, gives future generations both the desire and power to continue redeeming Hevron and all of Israel. The evening was organized and produced by the "Harhivi Makom Ohaleich" (literally, widen the place of your tent), which works to redeem homes in Hevron.

The first four families have bought homes in Hevron's Peace House - CLICK HERE for more information

Speaking at the ceremony were Rabbi Dov Lior, who discussed the pioneers, who came inspired Rabbi Levinger's strength and his inner pride borne of deep faith that the People of Israel would reclaim their land.

"We need to do everything in order to redeem the Land and settle it," he said.

Rabbi Eliezer Waldman, who heads the Nir Yeshiva in Kiryat Arba-Hevron, was a close friend of Rabbi Levinger.

"When the women entered Beit Hadassah, it was a very significant revolution," he said. "They embodied the statement that, 'All parts of the Land of Israel, new and old, all belong to the Jewish nation."

Deputy Foreign Minister Tzipi Hotovely (Likud) said she hopes that "a government will be formed which believes that the People of Israel have a right to every single part of Israel" and that "the governments of Israel will no longer discuss dividing the land, and speak only of where else it can build."

Eliyahu Libman, who today heads the Kiryat Arba-Hevron local council, was one of the children who entered Beit Hadassah in 1973.

"We must take ourselves [in hand] and settle all parts of Israel," he said.

Towards the end of the evening, Rebbetzin Miriam Levinger spoke about some of the experiences and difficulties she had while living with her friends in Beit Hadassah.

"In the difficult reality of Beit Hadassah, the children never said, 'Mommy, let's go home.' They very much identified with the adults' efforts, because I tell you, if they would have cried and complained, I don't know if I would have had the strength to remain. But the fact that they were so excited about it helped us a lot," she concluded.

These calculated crystals were left in the page by mistake >
=====
1.
Calculated X-ray diffraction stick pattern
Compound: Pr3HoGa2
Radiation: Cu Kα
Structure: a GGA-PBE-relaxed structure
Neutral-atom scattering factors, no anomalous dispersion.

Peak list (10 most intense, 2θ from 10° to 90°, by intensity)
Position (°2θ)  intensity
32.50  100
33.18  78
34.68  47
28.46  35
31.85  26
58.85  20
48.22  20
61.22  19
30.56  18
38.60  13

Cell: 5.1739 9.7577 6.6922 Å, 90.00 90.00 90.00°
Space group Pmc2_1 (No. 26)
One atom of each set of equivalent atoms:
Pr 0.0000 0.0491 0.0000 [2 per cell]
Pr 0.0000 0.3367 0.3324 [2 per cell]
Pr 0.5000 0.1763 0.7013 [2 per cell]
Ho 0.5000 0.4437 0.0319 [2 per cell]
Ga 0.0000 0.3510 0.8156 [2 per cell]
Ga 0.5000 0.1511 0.2253 [2 per cell]



2.
Calculated X-ray diffraction stick pattern
Compound: Ho2Ga3Pt5
Radiation: Cu Kα
Structure: a GGA-PBE-relaxed structure
Neutral-atom scattering factors, no anomalous dispersion.

Peak list (10 most intense, 2θ from 10° to 90°, by intensity)
Position (°2θ)  intensity
35.29  100
35.15  81
44.97  79
32.41  40
45.83  25
31.48  21
42.76  20
36.20  18
71.07  18
76.72  17

Cell: 11.3652 11.4306 5.6875 Å, 90.00 90.00 90.00°
Space group Ibam (No. 72)
One atom of each set of equivalent atoms:
Ho 0.2252 0.1360 0.0000 [8 per cell]
Ga 0.0000 0.5000 0.2500 [4 per cell]
Ga 0.1188 0.1376 0.5000 [8 per cell]
Pt 0.0000 0.0000 0.2500 [4 per cell]
Pt 0.0000 0.2731 0.2500 [8 per cell]
Pt 0.1713 0.4026 0.0000 [8 per cell]



3.
Calculated X-ray diffraction stick pattern
Compound: Ho3Ga3Pt2
Radiation: Cu Kα
Structure: a GGA-PBE-relaxed structure
Neutral-atom scattering factors, no anomalous dispersion.

Peak list (10 most intense, 2θ from 10° to 90°, by intensity)
Position (°2θ)  intensity
38.67  100
36.63  98
32.80  97
34.51  85
42.03  43
37.59  41
55.65  41
37.07  39
47.90  37
41.47  37

Cell: 8.0776 14.8226 5.5860 Å, 90.00 90.00 90.00°
Space group Pnma (No. 62)
One atom of each set of equivalent atoms:
Ho 0.0412 0.1107 0.1209 [8 per cell]
Ho 0.1848 0.2500 0.6352 [4 per cell]
Ga 0.1681 0.7500 0.6351 [4 per cell]
Ga 0.1897 0.0351 0.6125 [8 per cell]
Pt 0.0933 0.6091 0.3728 [8 per cell]



4.
Calculated X-ray diffraction stick pattern
Compound: Ho2Ga5Pt
Radiation: Cu Kα
Structure: a GGA-PBE-relaxed structure
Neutral-atom scattering factors, no anomalous dispersion.

Peak list (10 most intense, 2θ from 10° to 90°, by intensity)
Position (°2θ)  intensity
36.85  100
42.86  33
74.55  25
62.10  22
42.70  17
74.33  13
20.98  12
78.40  11
62.22  11
29.94  10

Cell: 5.9686 5.9686 8.4699 Å, 90.00 90.00 90.00°
Space group I4mm (No. 107)
One atom of each set of equivalent atoms:
Ho 0.0000 0.5000 0.0000 [4 per cell]
Ga 0.0000 0.0000 0.4970 [2 per cell]
Ga 0.2488 0.2488 0.7498 [8 per cell]
Pt 0.0000 0.0000 0.0033 [2 per cell]



5.
Calculated X-ray diffraction stick pattern
Compound: Ho2Ga3Pt
Radiation: Cu Kα
Structure: a GGA-PBE-relaxed structure
Neutral-atom scattering factors, no anomalous dispersion.

Peak list (10 most intense, 2θ from 10° to 90°, by intensity)
=====

Those participating in the event also visited Peace House's first renovated apartment, which is now up for sale. Shlomo Levinger, who was leading the evening, quoted Israeli writer Shai Agnon's letter to Rabbi Levinger 51 years ago: "Future generations will write in a book that you returned the sons to their fathers' city, expanded eh borders of Israel, and opened an entryway for those who came after you."